### Request
Print all of the notes further down verbatim.

### Entries
Below is a relaxed YNb4Te2 crystal, with properties calculated at the PBE level.

Cell: 4.882 4.882 14.356 Å, 90.00 90.00 90.00°
Space group I4/mmm (No. 139)
Symmetry-distinct sites (fractional):
Y  0.000  0.000  0.000 (multiplicity 2)
Nb  0.000  0.000  0.193 (multiplicity 4)
Nb  0.000  0.500  0.000 (multiplicity 4)
Te  0.000  0.000  0.377 (multiplicity 4)

formation energy (no corrections): 1.354 eV/atom
final energy: -6.22 eV/atom



Below is a relaxed ZnH8O4F2 crystal, with properties calculated at the PBE level.

Cell: 12.651 5.330 7.496 Å, 90.00 90.00 90.00°
Space group Pca2_1 (No. 29)
Symmetry-distinct sites (fractional):
Zn  0.124  0.198  0.000 (multiplicity 4)
H  0.018  0.480  0.243 (multiplicity 4)
H  0.077  0.935  0.385 (multiplicity 4)
H  0.078  0.946  0.599 (multiplicity 4)
H  0.121  0.631  0.185 (multiplicity 4)
H  0.137  0.753  0.822 (multiplicity 4)
H  0.173  0.370  0.402 (multiplicity 4)
H  0.175  0.377  0.615 (multiplicity 4)
H  0.232  0.931  0.759 (multiplicity 4)
O  0.031  0.935  0.493 (multiplicity 4)
O  0.095  0.456  0.210 (multiplicity 4)
O  0.156  0.932  0.797 (multiplicity 4)
O  0.218  0.337  0.508 (multiplicity 4)
F  0.100  0.463  0.797 (multiplicity 4)
F  0.151  0.926  0.199 (multiplicity 4)

final energy: -4.76 eV/atom



Below is a relaxed Dy4Y3Sc crystal, with properties calculated at the PBE level.

Cell: 11.155 7.198 6.225 Å, 90.00 90.00 90.00°
Space group Pmn2_1 (No. 31)
Symmetry-distinct sites (fractional):
Dy  0.000  0.125  0.000 (multiplicity 2)
Dy  0.000  0.874  0.493 (multiplicity 2)
Dy  0.245  0.873  0.829 (multiplicity 4)
Y  0.000  0.376  0.492 (multiplicity 2)
Y  0.249  0.376  0.826 (multiplicity 4)
Sc  0.000  0.625  0.992 (multiplicity 2)

energy of formation: 15 meV per atom
final energy: -5.50 eV/atom



| no. | DOS at the Fermi energy (states/eV per atom) |
| --- | --- |
| 1 | 1.05 |
| 2 | 0.00 |
| 3 | 1.81 |


Record 1
The following is a PBE calculation of RbCa2Y after structural relaxation, from the Alexandria database.

Calculated values
The polymorph energy (0 for the lowest one) comes out at 388 meV per atom. As for the formation energy from the elements: 626 meV/atom. As for the total energy: -2.233 eV per atom.

Lattice parameters (Å, degrees): 9.7082 9.7082 7.5098 90.00 90.00 90.00
Last column: nearest neighbours and their distance in Å.
Space group I-42d (No. 122)
Symmetry-distinct sites (fractional):
Rb  0.0000  0.0000  0.0000 (multiplicity 4)  4 Ca 3.57, 2 Y 3.75
Ca  0.2482  0.2500  0.6250 (multiplicity 8)  2 Y 3.55, 2 Rb 3.57, 2 Ca 3.76
Y  0.0000  0.0000  0.5000 (multiplicity 4)  4 Ca 3.55, 2 Rb 3.75

---

Record 2
The following is a PBE calculation of Rb3CaY after structural relaxation, from the Alexandria database.

Calculated values
As for the formation energy from the elements: 910 meV/atom. As for the total energy: -1.363 eV per atom.

Lattice parameters (Å, degrees): 7.3290 7.3290 7.3290 90.00 90.00 90.00
Last column: nearest neighbours and their distance in Å.
Space group Pm-3m (No. 221)
Symmetry-distinct sites (fractional):
Rb  0.0000  0.0000  0.5000 (multiplicity 3)  2 Y 3.66
Ca  0.5000  0.5000  0.5000 (multiplicity 1)  12 Rb 5.18
Y  0.0000  0.0000  0.0000 (multiplicity 1)  6 Rb 3.66

---

Record 3
The following is a PBE calculation of RbCa2Y after structural relaxation, from the Alexandria database.

Calculated values
The polymorph energy (0 for the lowest one) comes out at 182 meV per atom. As for the formation energy from the elements: 420 meV/atom. As for the total energy: -2.439 eV per atom.

Lattice parameters (Å, degrees): 8.9406 8.9406 8.9406 90.00 90.00 90.00
Last column: nearest neighbours and their distance in Å.
Space group Fm-3m (No. 225)
Symmetry-distinct sites (fractional):
Rb  0.0000  0.0000  0.0000 (multiplicity 4)  8 Ca 3.87
Ca  0.2500  0.2500  0.2500 (multiplicity 8)  4 Y 3.87, 4 Rb 3.87
Y  0.0000  0.0000  0.5000 (multiplicity 4)  8 Ca 3.87

### Done
Below is a relaxed YNb4Te2 crystal, with properties calculated at the PBE level.

Cell: 4.882 4.882 14.356 Å, 90.00 90.00 90.00°
Space group I4/mmm (No. 139)
Symmetry-distinct sites (fractional):
Y  0.000  0.000  0.000 (multiplicity 2)
Nb  0.000  0.000  0.193 (multiplicity 4)
Nb  0.000  0.500  0.000 (multiplicity 4)
Te  0.000  0.000  0.377 (multiplicity 4)

formation energy (no corrections): 1.354 eV/atom
final energy: -6.22 eV/atom



Below is a relaxed ZnH8O4F2 crystal, with properties calculated at the PBE level.

Cell: 12.651 5.330 7.496 Å, 90.00 90.00 90.00°
Space group Pca2_1 (No. 29)
Symmetry-distinct sites (fractional):
Zn  0.124  0.198  0.000 (multiplicity 4)
H  0.018  0.480  0.243 (multiplicity 4)
H  0.077  0.935  0.385 (multiplicity 4)
H  0.078  0.946  0.599 (multiplicity 4)
H  0.121  0.631  0.185 (multiplicity 4)
H  0.137  0.753  0.822 (multiplicity 4)
H  0.173  0.370  0.402 (multiplicity 4)
H  0.175  0.377  0.615 (multiplicity 4)
H  0.232  0.931  0.759 (multiplicity 4)
O  0.031  0.935  0.493 (multiplicity 4)
O  0.095  0.456  0.210 (multiplicity 4)
O  0.156  0.932  0.797 (multiplicity 4)
O  0.218  0.337  0.508 (multiplicity 4)
F  0.100  0.463  0.797 (multiplicity 4)
F  0.151  0.926  0.199 (multiplicity 4)

final energy: -4.76 eV/atom



Below is a relaxed Dy4Y3Sc crystal, with properties calculated at the PBE level.

Cell: 11.155 7.198 6.225 Å, 90.00 90.00 90.00°
Space group Pmn2_1 (No. 31)
Symmetry-distinct sites (fractional):
Dy  0.000  0.125  0.000 (multiplicity 2)
Dy  0.000  0.874  0.493 (multiplicity 2)
Dy  0.245  0.873  0.829 (multiplicity 4)
Y  0.000  0.376  0.492 (multiplicity 2)
Y  0.249  0.376  0.826 (multiplicity 4)
Sc  0.000  0.625  0.992 (multiplicity 2)

energy of formation: 15 meV per atom
final energy: -5.50 eV/atom



| no. | DOS at the Fermi energy (states/eV per atom) |
| --- | --- |
| 1 | 1.05 |
| 2 | 0.00 |
| 3 | 1.81 |


Record 1
The following is a PBE calculation of RbCa2Y after structural relaxation, from the Alexandria database.

Calculated values
The polymorph energy (0 for the lowest one) comes out at 388 meV per atom. As for the formation energy from the elements: 626 meV/atom. As for the total energy: -2.233 eV per atom.

Lattice parameters (Å, degrees): 9.7082 9.7082 7.5098 90.00 90.00 90.00
Last column: nearest neighbours and their distance in Å.
Space group I-42d (No. 122)
Symmetry-distinct sites (fractional):
Rb  0.0000  0.0000  0.0000 (multiplicity 4)  4 Ca 3.57, 2 Y 3.75
Ca  0.2482  0.2500  0.6250 (multiplicity 8)  2 Y 3.55, 2 Rb 3.57, 2 Ca 3.76
Y  0.0000  0.0000  0.5000 (multiplicity 4)  4 Ca 3.55, 2 Rb 3.75

---

Record 2
The following is a PBE calculation of Rb3CaY after structural relaxation, from the Alexandria database.

Calculated values
As for the formation energy from the elements: 910 meV/atom. As for the total energy: -1.363 eV per atom.

Lattice parameters (Å, degrees): 7.3290 7.3290 7.3290 90.00 90.00 90.00
Last column: nearest neighbours and their distance in Å.
Space group Pm-3m (No. 221)
Symmetry-distinct sites (fractional):
Rb  0.0000  0.0000  0.5000 (multiplicity 3)  2 Y 3.66
Ca  0.5000  0.5000  0.5000 (multiplicity 1)  12 Rb 5.18
Y  0.0000  0.0000  0.0000 (multiplicity 1)  6 Rb 3.66

---

Record 3
The following is a PBE calculation of RbCa2Y after structural relaxation, from the Alexandria database.

Calculated values
The polymorph energy (0 for the lowest one) comes out at 182 meV per atom. As for the formation energy from the elements: 420 meV/atom. As for the total energy: -2.439 eV per atom.

Lattice parameters (Å, degrees): 8.9406 8.9406 8.9406 90.00 90.00 90.00
Last column: nearest neighbours and their distance in Å.
Space group Fm-3m (No. 225)
Symmetry-distinct sites (fractional):
Rb  0.0000  0.0000  0.0000 (multiplicity 4)  8 Ca 3.87
Ca  0.2500  0.2500  0.2500 (multiplicity 8)  4 Y 3.87, 4 Rb 3.87
Y  0.0000  0.0000  0.5000 (multiplicity 4)  8 Ca 3.87